I’ve decided that having a Californian native plant garden and gardening with Californian native plants is two totally different things.
For me, the latter means to use natives plants in your garden to show off their beauty and also enhance your habitat. If they use less water than your average horticultural plant then even better, but you do water them to keep them looking good, and you tend not to choose to let them go completely dormant as a lot of them do in the heat of the summer. If you have a drought year you will pamper these plants and help them show their best sides even in the hottest, driest of years.
And then there is having a Californian native plant garden. The idea was that I’d get these plants established – I babied them through the first couple of years and now they are on their own. I heard it quoted that this year has been the driest on record here. It’s not good for the native plants that are now fending for themselves in my yard.
Remember that the hot dry Californian Summer equates to the “winter” of the plants annual cycle. This is the time many go dormant, shed leaves, and generally look dead. The reason for this is so that the plant can conserve water and energy for the growing season which is sparked in October (hopefully) when the rain returns. It’s hard for many people living here – usually blow-ins from other parts of the planet – to appreciate that summer does not equal lush growth. The climate here is unusual in that it is one of the few areas on the planet where the warmest season is also the driest. The Mediterranean, South Africa and much of Australia share this phenomenon.
So this means that a native Californian landscape looks pretty dead in the summer. It’s tough to sit back and let a part of your yard do this. I decided that the whole idea of the native garden was to conserve water. Watering the plants now may even harm some of them. I’m sitting back and letting them do their own thing – apart from pruning and a bit of a tidy up. It makes no sense to me to give the yard extra water in the very year that water is so scare for all of us. Sure, I may be well ahead of the water conservation curve compared to folk who water lawns every day. I can imagine that many native plant gardeners will say that I could spare a little water to help them along, but the bottom line is, it’s all an experiment. I’m curious to see what will bounce back and won’t.
**Unrelated to this article: crystal structures**
┌──
Record 1
Entry from the Materials Project: a geometry-optimized AgRhF6 structure (meta-GGA r2SCAN).

a b c (Å): 4.9997 5.0063 10.0821
angles (deg): 75.93 75.87 60.12
Fractional coordinates of all 16 atoms:
Ag  0.0000  0.0000  0.0000
Ag  0.5000  0.5000  0.5000
Rh  0.2468  0.2547  0.2500
Rh  0.7532  0.7453  0.7500
F  0.0353  0.4074  0.8639
F  0.0918  0.8024  0.6360
F  0.1902  0.5367  0.3652
F  0.3033  0.9729  0.1349
F  0.4153  0.6889  0.8644
F  0.4731  0.0821  0.6355
F  0.5269  0.9179  0.3645
F  0.5847  0.3111  0.1356
F  0.6967  0.0271  0.8651
F  0.8098  0.4633  0.6348
F  0.9082  0.1976  0.3640
F  0.9647  0.5926  0.1361

Summary:
Space group: P-1 (2)
Total magnetic moment in Bohr magnetons per cell: 3.99
Electronic total energy in Ha/atom: -0.3522
Energy of formation from the pure elements in kJ/mol of formula units: -1200

Record 2
Entry from the Materials Project: a geometry-optimized AgRuF7 structure (meta-GGA r2SCAN).

a b c (Å): 8.3739 5.4635 12.0534
angles (deg): 90.00 113.09 90.00
Fractional coordinates of all 36 atoms:
Ag  0.1546  0.2070  0.2230
Ag  0.1546  0.2930  0.7230
Ag  0.8454  0.7070  0.2770
Ag  0.8454  0.7930  0.7770
Ru  0.2865  0.7081  0.0582
Ru  0.2865  0.7919  0.5582
Ru  0.7135  0.2081  0.4418
Ru  0.7135  0.2919  0.9418
F  0.0210  0.5897  0.7383
F  0.0210  0.9103  0.2383
F  0.0458  0.7446  0.4951
F  0.0458  0.7554  0.9951
F  0.2553  0.0856  0.4769
F  0.2553  0.4144  0.9769
F  0.2711  0.5415  0.1945
F  0.2711  0.9585  0.6945
F  0.3049  0.6213  0.4323
F  0.3049  0.8787  0.9323
F  0.3131  0.0069  0.1473
F  0.3131  0.4931  0.6473
F  0.4739  0.1652  0.3723
F  0.4739  0.3348  0.8723
F  0.5261  0.6652  0.1277
F  0.5261  0.8348  0.6277
F  0.6869  0.5069  0.3527
F  0.6869  0.9931  0.8527
F  0.6951  0.1213  0.0677
F  0.6951  0.3787  0.5677
F  0.7289  0.0415  0.3055
F  0.7289  0.4585  0.8055
F  0.7447  0.5856  0.0231
F  0.7447  0.9144  0.5231
F  0.9542  0.2446  0.0049
F  0.9542  0.2554  0.5049
F  0.9790  0.0897  0.7617
F  0.9790  0.4103  0.2617

Summary:
Space group: P2_1/c (14)
Total magnetic moment in Bohr magnetons per cell: 12.67
Electronic total energy in Ha/atom: -0.3434
Energy of formation from the pure elements in kJ/mol of formula units: -1490

Record 3
Entry from the Materials Project: a geometry-optimized UAgF6 structure (meta-GGA r2SCAN).

a b c (Å): 5.2744 5.2744 9.0780
angles (deg): 90.00 90.00 90.07
Fractional coordinates of all 16 atoms:
U  0.0000  0.0000  0.0000
U  0.0000  0.0000  0.5000
Ag  0.5000  0.5000  0.2496
Ag  0.5000  0.5000  0.7504
F  0.2046  0.2046  0.3433
F  0.2046  0.2046  0.6567
F  0.2047  0.7953  0.1564
F  0.2047  0.7953  0.8436
F  0.2792  0.7208  0.5000
F  0.2796  0.2796  0.0000
F  0.7204  0.7204  0.0000
F  0.7208  0.2792  0.5000
F  0.7953  0.2047  0.1564
F  0.7953  0.2047  0.8436
F  0.7954  0.7954  0.3433
F  0.7954  0.7954  0.6567

Summary:
Space group: Cmmm (65)
Total magnetic moment in Bohr magnetons per cell: 2.00
Electronic total energy in Ha/atom: -0.6681
└──
**The crystal structures stop here**
Already, I can see that some trees are perfect for drought conditions. In the picture above, you can see that I have a dwarf buckeye on the right. It has dropped its leaves as they do for the summer. It is still a little on the young side but it has produced some fruit. In years to come, I’m hoping that will be what makes it attractive – thin branches, ending in massive chestnut-like fruit. Right now it’s doing exactly what it should be doing and I’m confident it will weather this storm – or lack of them!
To its left is the beautiful dessert willow. When this garden has matured, nether of these trees should be in full leaf at the same time, giving a sense of space to the area. In the summer the dessert willow will provide shade and color, and when fully grown should be about thirty feet tall. There are some great drought tolerant natives – its just a matter of finding the one that suits your needs.
While the majority of my plants look like they are burning to a crisp, the sages still smell wonderful and most growth will reignite with the arrival of the fall rains. I do plan to add a new batch of plants in the rainy season…if it comes. My choices may be partially governed by what survives the summer.
It is also worth noting that we really have only started the heat here… August and September promise high temperatures. With this extreme lack of water the plant phenology, in my yard and growing wild on the surrounding hills, seems to be at least a month ahead of itself. It will be interesting to see what happens next in my Californian native plant garden.
Byddi Lee
I agree with everything being a month ahead, and not just the native plants either. I did notice that our Lotus scoparius, which isn't irrigated, had a much shorter bloom period this season. The Gilia capitata never bloomed at all, but the Aster chilensis are blooming at least 4-6 weeks earlier than in years past, and I'm on the coast side of the mountains! It is a tough year. I'm crossing my fingers for some early season rains, and can only wait and see what bounces back next spring.
I agree! The long heat wave a couple of weeks back made the fruit trees pretty much ripen over night – I missed the window on that and all the plums were fermenting on the tree by the time I was ready to harvest. I didn't get a single one. It's a good job I still have orange jam from the winter orange crop.